[Source]
____________
For Sc6C2O, a DFT-relaxed cell (PBE, Alexandria) gives the calculated XRD peak list in this record (a wavelength of 1.5418 Å).
No peak broadening, texture or thermal motion is included.

Principal peaks in the range 2θ from 10° to 90°, low angle first:
2θ = 18.78°, I = 7; 2θ = 31.74°, I = 12; 2θ = 33.18°, I = 20; 2θ = 35.94°, I = 100; 2θ = 46.58°, I = 23; 2θ = 56.55°, I = 20; 2θ = 61.09°, I = 17; 2θ = 67.16°, I = 14; 2θ = 68.85°, I = 12; 2θ = 88.01°, I = 6

Crystal structure
a b c (Å): 5.400 5.637 9.766
angles (deg): 90.00 90.00 90.00
Fractional positions:
Sc1 0.227 0.163 0.000
Sc2 0.246 0.667 0.164
Sc3 0.246 0.667 0.836
Sc4 0.254 0.167 0.336
Sc5 0.254 0.167 0.664
Sc6 0.273 0.663 0.500
Sc7 0.727 0.337 0.500
Sc8 0.746 0.833 0.336
Sc9 0.746 0.833 0.664
Sc10 0.754 0.333 0.164
Sc11 0.754 0.333 0.836
Sc12 0.773 0.837 0.000
C1 0.000 0.000 0.175
C2 0.000 0.000 0.825
C3 0.500 0.500 0.325
C4 0.500 0.500 0.675
O1 0.000 0.500 0.000
O2 0.500 0.000 0.500

=====

For Sc4CO, a DFT-relaxed cell (PBE, Alexandria) gives the calculated XRD peak list in this record (a wavelength of 1.5418 Å).
No peak broadening, texture or thermal motion is included.

Principal peaks in the range 2θ from 10° to 90°, low angle first:
2θ = 16.36°, I = 25; 2θ = 33.07°, I = 31; 2θ = 35.53°, I = 46; 2θ = 35.77°, I = 100; 2θ = 36.23°, I = 20; 2θ = 46.11°, I = 18; 2θ = 46.51°, I = 22; 2θ = 56.46°, I = 22; 2θ = 60.49°, I = 19; 2θ = 66.47°, I = 14

Crystal structure
a b c (Å): 5.418 3.294 5.627
angles (deg): 90.00 90.99 90.00
Fractional positions:
Sc1 0.230 0.000 0.169
Sc2 0.230 0.500 0.672
Sc3 0.770 0.000 0.831
Sc4 0.770 0.500 0.328
C1 0.000 0.500 0.000
O1 0.000 0.000 0.500

=====

For TbScCO, a DFT-relaxed cell (PBE, Alexandria) gives the calculated XRD peak list in this record (a wavelength of 1.5418 Å).
No peak broadening, texture or thermal motion is included.

Principal peaks in the range 2θ from 10° to 90°, low angle first:
2θ = 15.36°, I = 95; 2θ = 29.12°, I = 71; 2θ = 30.31°, I = 67; 2θ = 31.00°, I = 51; 2θ = 36.66°, I = 51; 2θ = 37.64°, I = 46; 2θ = 44.02°, I = 100; 2θ = 48.75°, I = 27; 2θ = 49.53°, I = 24; 2θ = 64.29°, I = 34

Crystal structure
a b c (Å): 6.175 6.175 6.175
angles (deg): 151.40 150.15 41.82
Fractional positions:
Tb1 0.000 0.000 0.000
Sc1 0.755 0.255 0.500
C1 0.333 0.833 0.500
O1 0.589 0.589 0.000

~~~~~

This entry pairs a crystal structure of Li7Ti16O32 with its simulated X-ray diffraction stick pattern. Radiation: Cu Kα, 1.54184 Å. Structure: a DFT-relaxed cell (PBE, Alexandria).
Intensities are scaled so that the largest is 100.

Atomic structure:
abc: 11.402 11.402 5.091
angles: 90.11 90.11 62.54
Sites, in units of the cell vectors:
Li (0.000, 0.000, 0.000)
Li (0.090, 0.338, 0.509)
Li (0.333, 0.595, 0.138)
Li (0.338, 0.090, 0.509)
Li (0.591, 0.845, 0.510)
Li (0.595, 0.333, 0.138)
Li (0.845, 0.591, 0.510)
Ti (0.157, 0.669, 0.602)
Ti (0.161, 0.161, 0.041)
Ti (0.177, 0.429, 0.096)
Ti (0.181, 0.920, 0.540)
Ti (0.411, 0.411, 0.600)
Ti (0.413, 0.910, 0.049)
Ti (0.429, 0.177, 0.096)
Ti (0.433, 0.674, 0.562)
Ti (0.664, 0.664, 0.059)
Ti (0.669, 0.157, 0.602)
Ti (0.674, 0.433, 0.562)
Ti (0.681, 0.929, 0.083)
Ti (0.910, 0.413, 0.049)
Ti (0.911, 0.911, 0.575)
Ti (0.920, 0.181, 0.540)
Ti (0.929, 0.681, 0.083)
O (0.000, 0.742, 0.375)
O (0.002, 0.499, 0.282)
O (0.003, 0.003, 0.369)
O (0.003, 0.249, 0.281)
O (0.088, 0.843, 0.768)
O (0.090, 0.090, 0.779)
O (0.091, 0.339, 0.878)
O (0.099, 0.591, 0.878)
O (0.249, 0.003, 0.281)
O (0.251, 0.251, 0.285)
O (0.252, 0.501, 0.367)
O (0.254, 0.749, 0.372)
O (0.339, 0.091, 0.878)
O (0.342, 0.588, 0.769)
O (0.342, 0.847, 0.766)
O (0.344, 0.344, 0.878)
O (0.499, 0.002, 0.282)
O (0.501, 0.252, 0.367)
O (0.501, 0.501, 0.361)
O (0.501, 0.753, 0.290)
O (0.588, 0.342, 0.769)
O (0.590, 0.843, 0.878)
O (0.591, 0.099, 0.878)
O (0.595, 0.595, 0.780)
O (0.742, 0.000, 0.375)
O (0.749, 0.254, 0.372)
O (0.751, 0.751, 0.282)
O (0.753, 0.501, 0.290)
O (0.843, 0.088, 0.768)
O (0.843, 0.590, 0.878)
O (0.845, 0.845, 0.871)
____________

[Work order]
What is needed: give back the lines further up from the one with "(0.254, 0.749," to the one with "(0.843, 0.088," exactly.

[Completed]
O (0.254, 0.749, 0.372)
O (0.339, 0.091, 0.878)
O (0.342, 0.588, 0.769)
O (0.342, 0.847, 0.766)
O (0.344, 0.344, 0.878)
O (0.499, 0.002, 0.282)
O (0.501, 0.252, 0.367)
O (0.501, 0.501, 0.361)
O (0.501, 0.753, 0.290)
O (0.588, 0.342, 0.769)
O (0.590, 0.843, 0.878)
O (0.591, 0.099, 0.878)
O (0.595, 0.595, 0.780)
O (0.742, 0.000, 0.375)
O (0.749, 0.254, 0.372)
O (0.751, 0.751, 0.282)
O (0.753, 0.501, 0.290)
O (0.843, 0.088, 0.768)